## Input
[1]
{"formula": "AlCd2Te", "functional": "GGA-PBE", "state": "relaxed", "de_polymorph_ev_per_fu": 0.701, "lattice": [[2.1535, -2.5388, 0.0000], [2.1535, 2.5388, 0.0000], [0.0000, 0.0000, 8.8572]], "species": ["Al", "Cd", "Cd", "Te"], "fractional_positions": [[0.0000, 0.0000, 0.0000], [0.5000, 0.5000, 0.2192], [0.5000, 0.5000, 0.7808], [0.0000, 0.0000, 0.5000]]}

[2]
{"formula": "SrTm2Tl9", "functional": "GGA-PBE", "state": "relaxed", "ef_ev_per_atom": -0.207, "lattice": [[4.8346, 0.0000, 0.0000], [0.0000, 4.8346, 0.0000], [0.0000, 0.0000, 14.4337]], "species": ["Sr", "Tm", "Tm", "Tl", "Tl", "Tl", "Tl", "Tl", "Tl", "Tl", "Tl", "Tl"], "fractional_positions": [[0.0000, 0.0000, 0.0000], [0.0000, 0.0000, 0.3430], [0.0000, 0.0000, 0.6570], [0.0000, 0.5000, 0.1770], [0.0000, 0.5000, 0.5000], [0.0000, 0.5000, 0.8230], [0.5000, 0.0000, 0.1770], [0.5000, 0.0000, 0.5000], [0.5000, 0.0000, 0.8230], [0.5000, 0.5000, 0.0000], [0.5000, 0.5000, 0.3348], [0.5000, 0.5000, 0.6652]]}

[3]
{"formula": "LiScAsPt", "functional": "GGA-PBE", "state": "relaxed", "ef_ev_per_atom": -0.861, "lattice": [[0.0000, 3.2198, 3.2198], [3.2198, 0.0000, 3.2198], [3.2198, 3.2198, 0.0000]], "species": ["Li", "Sc", "As", "Pt"], "fractional_positions": [[0.0000, 0.0000, 0.0000], [0.5000, 0.5000, 0.5000], [0.7500, 0.7500, 0.7500], [0.2500, 0.2500, 0.2500]]}

[4]
{"formula": "KLi2Hg", "functional": "GGA-PBE", "state": "relaxed", "ef_ev_per_atom": -0.132, "lattice": [[4.1944, -2.3533, 0.0000], [4.1944, 2.3533, 0.0000], [-2.6320, 0.0000, 6.2436]], "species": ["K", "Li", "Li", "Hg"], "fractional_positions": [[0.0000, 0.0000, 0.0000], [0.1941, 0.1941, 0.5835], [0.8059, 0.8059, 0.4165], [0.5000, 0.5000, 0.5000]]}

[5]
{"formula": "La2ZnRu", "functional": "GGA-PBE", "state": "relaxed", "ef_ev_per_atom": -0.259, "lattice": [[4.1646, 0.0000, 0.0000], [0.0000, 4.4655, 0.0000], [-2.0666, 0.0000, 5.4819]], "species": ["La", "La", "Zn", "Ru"], "fractional_positions": [[0.0000, 0.0000, 0.0000], [0.2737, 0.5000, 0.5500], [0.7036, 0.0000, 0.4092], [0.5675, 0.5000, 0.1389]]}

[6]
{"formula": "SmDy2ErSb4", "functional": "GGA-PBE", "state": "relaxed", "lattice": [[7.6178, 0.0000, 0.0000], [0.0000, 4.4012, 0.0000], [-2.5404, 0.0000, 7.1828]], "species": ["Sm", "Dy", "Dy", "Er", "Sb", "Sb", "Sb", "Sb"], "fractional_positions": [[0.0000, 0.0000, 0.0000], [0.0000, 0.5000, 0.5000], [0.5000, 0.0000, 0.5000], [0.5000, 0.5000, 0.0000], [0.2533, 0.0000, 0.7496], [0.2545, 0.5000, 0.2530], [0.7455, 0.5000, 0.7470], [0.7467, 0.0000, 0.2504]]}

[7]
{"formula": "LiErZrSe4", "functional": "GGA-PBE", "state": "relaxed", "lattice": [[-3.9534, 4.0917, 5.7070], [3.9534, -4.0917, 5.7070], [3.9534, 4.0917, -5.7070]], "species": ["Li", "Li", "Er", "Er", "Zr", "Zr", "Se", "Se", "Se", "Se", "Se", "Se", "Se", "Se"], "fractional_positions": [[0.3742, 0.1242, 0.2500], [0.6258, 0.8758, 0.7500], [0.0000, 0.5000, 0.5000], [0.5000, 0.5000, 0.0000], [0.0000, 0.0000, 0.5000], [0.0000, 0.5000, 0.0000], [0.2312, 0.7498, 0.4814], [0.2316, 0.2502, 0.9814], [0.2368, 0.2405, 0.5037], [0.2368, 0.7331, 0.9963], [0.7632, 0.2669, 0.0037], [0.7632, 0.7595, 0.4963], [0.7684, 0.7498, 0.0186], [0.7688, 0.2502, 0.5186]]}

[8]
{"formula": "TiVTe4", "functional": "GGA-PBE", "state": "relaxed", "lattice": [[7.6583, -1.8504, 0.0000], [7.6583, 1.8504, 0.0000], [-2.6650, 0.0000, 5.8323]], "species": ["Ti", "V", "Te", "Te", "Te", "Te"], "fractional_positions": [[0.0000, 0.0000, 0.0000], [0.5000, 0.5000, 0.5000], [0.1234, 0.1234, 0.4603], [0.3747, 0.3747, 0.0443], [0.6253, 0.6253, 0.9557], [0.8766, 0.8766, 0.5397]]}

| no. | magnetization (μB per formula unit) | total DFT energy (no corrections) (eV/cell) |
| --- | --- | --- |
| 1 | 0.00 | -8.109 |
| 2 | 0.00 | -34.405 |
| 3 | 0.00 | -22.380 |
| 4 | 0.00 | -5.755 |
| 5 | 0.00 | -21.441 |
| 6 | 0.00 | -44.022 |
| 7 | 0.00 | -79.280 |
| 8 | 1.34 | -32.567 |


No. 1
First-principles (PBE) data for a geometry-optimized U2FeNi structure, as listed in Alexandria via LeMat-Bulk.

```
data_U2FeNi

## Exercise
What is needed: retype the lines further above up to the one that holds "1.34", that line included.

## Reply
[1]
{"formula": "AlCd2Te", "functional": "GGA-PBE", "state": "relaxed", "de_polymorph_ev_per_fu": 0.701, "lattice": [[2.1535, -2.5388, 0.0000], [2.1535, 2.5388, 0.0000], [0.0000, 0.0000, 8.8572]], "species": ["Al", "Cd", "Cd", "Te"], "fractional_positions": [[0.0000, 0.0000, 0.0000], [0.5000, 0.5000, 0.2192], [0.5000, 0.5000, 0.7808], [0.0000, 0.0000, 0.5000]]}

[2]
{"formula": "SrTm2Tl9", "functional": "GGA-PBE", "state": "relaxed", "ef_ev_per_atom": -0.207, "lattice": [[4.8346, 0.0000, 0.0000], [0.0000, 4.8346, 0.0000], [0.0000, 0.0000, 14.4337]], "species": ["Sr", "Tm", "Tm", "Tl", "Tl", "Tl", "Tl", "Tl", "Tl", "Tl", "Tl", "Tl"], "fractional_positions": [[0.0000, 0.0000, 0.0000], [0.0000, 0.0000, 0.3430], [0.0000, 0.0000, 0.6570], [0.0000, 0.5000, 0.1770], [0.0000, 0.5000, 0.5000], [0.0000, 0.5000, 0.8230], [0.5000, 0.0000, 0.1770], [0.5000, 0.0000, 0.5000], [0.5000, 0.0000, 0.8230], [0.5000, 0.5000, 0.0000], [0.5000, 0.5000, 0.3348], [0.5000, 0.5000, 0.6652]]}

[3]
{"formula": "LiScAsPt", "functional": "GGA-PBE", "state": "relaxed", "ef_ev_per_atom": -0.861, "lattice": [[0.0000, 3.2198, 3.2198], [3.2198, 0.0000, 3.2198], [3.2198, 3.2198, 0.0000]], "species": ["Li", "Sc", "As", "Pt"], "fractional_positions": [[0.0000, 0.0000, 0.0000], [0.5000, 0.5000, 0.5000], [0.7500, 0.7500, 0.7500], [0.2500, 0.2500, 0.2500]]}

[4]
{"formula": "KLi2Hg", "functional": "GGA-PBE", "state": "relaxed", "ef_ev_per_atom": -0.132, "lattice": [[4.1944, -2.3533, 0.0000], [4.1944, 2.3533, 0.0000], [-2.6320, 0.0000, 6.2436]], "species": ["K", "Li", "Li", "Hg"], "fractional_positions": [[0.0000, 0.0000, 0.0000], [0.1941, 0.1941, 0.5835], [0.8059, 0.8059, 0.4165], [0.5000, 0.5000, 0.5000]]}

[5]
{"formula": "La2ZnRu", "functional": "GGA-PBE", "state": "relaxed", "ef_ev_per_atom": -0.259, "lattice": [[4.1646, 0.0000, 0.0000], [0.0000, 4.4655, 0.0000], [-2.0666, 0.0000, 5.4819]], "species": ["La", "La", "Zn", "Ru"], "fractional_positions": [[0.0000, 0.0000, 0.0000], [0.2737, 0.5000, 0.5500], [0.7036, 0.0000, 0.4092], [0.5675, 0.5000, 0.1389]]}

[6]
{"formula": "SmDy2ErSb4", "functional": "GGA-PBE", "state": "relaxed", "lattice": [[7.6178, 0.0000, 0.0000], [0.0000, 4.4012, 0.0000], [-2.5404, 0.0000, 7.1828]], "species": ["Sm", "Dy", "Dy", "Er", "Sb", "Sb", "Sb", "Sb"], "fractional_positions": [[0.0000, 0.0000, 0.0000], [0.0000, 0.5000, 0.5000], [0.5000, 0.0000, 0.5000], [0.5000, 0.5000, 0.0000], [0.2533, 0.0000, 0.7496], [0.2545, 0.5000, 0.2530], [0.7455, 0.5000, 0.7470], [0.7467, 0.0000, 0.2504]]}

[7]
{"formula": "LiErZrSe4", "functional": "GGA-PBE", "state": "relaxed", "lattice": [[-3.9534, 4.0917, 5.7070], [3.9534, -4.0917, 5.7070], [3.9534, 4.0917, -5.7070]], "species": ["Li", "Li", "Er", "Er", "Zr", "Zr", "Se", "Se", "Se", "Se", "Se", "Se", "Se", "Se"], "fractional_positions": [[0.3742, 0.1242, 0.2500], [0.6258, 0.8758, 0.7500], [0.0000, 0.5000, 0.5000], [0.5000, 0.5000, 0.0000], [0.0000, 0.0000, 0.5000], [0.0000, 0.5000, 0.0000], [0.2312, 0.7498, 0.4814], [0.2316, 0.2502, 0.9814], [0.2368, 0.2405, 0.5037], [0.2368, 0.7331, 0.9963], [0.7632, 0.2669, 0.0037], [0.7632, 0.7595, 0.4963], [0.7684, 0.7498, 0.0186], [0.7688, 0.2502, 0.5186]]}

[8]
{"formula": "TiVTe4", "functional": "GGA-PBE", "state": "relaxed", "lattice": [[7.6583, -1.8504, 0.0000], [7.6583, 1.8504, 0.0000], [-2.6650, 0.0000, 5.8323]], "species": ["Ti", "V", "Te", "Te", "Te", "Te"], "fractional_positions": [[0.0000, 0.0000, 0.0000], [0.5000, 0.5000, 0.5000], [0.1234, 0.1234, 0.4603], [0.3747, 0.3747, 0.0443], [0.6253, 0.6253, 0.9557], [0.8766, 0.8766, 0.5397]]}

| no. | magnetization (μB per formula unit) | total DFT energy (no corrections) (eV/cell) |
| --- | --- | --- |
| 1 | 0.00 | -8.109 |
| 2 | 0.00 | -34.405 |
| 3 | 0.00 | -22.380 |
| 4 | 0.00 | -5.755 |
| 5 | 0.00 | -21.441 |
| 6 | 0.00 | -44.022 |
| 7 | 0.00 | -79.280 |
| 8 | 1.34 | -32.567 |